**Work order**
The reader should type out all of the contents further down word for word.
**Contents**
____________
(1)
Entry from the OMol25 dataset: a 2-piece molecular cluster, C5H14 overall (ωB97M-V with the def2-TZVPD basis set).

Geometry (Å):
C 2.049 1.651 -1.380
C 0.608 1.555 -0.759
C 0.724 1.385 0.714
H 2.165 0.979 -2.218
H 2.950 1.363 -0.806
H 2.167 2.718 -1.606
H 0.171 2.571 -0.942
H 0.046 0.856 -1.358
H 1.312 2.214 1.135
H -0.241 1.356 1.291
H 1.348 0.557 1.081
C -1.018 -2.576 0.924
C -2.276 -1.779 0.373
H -1.239 -3.630 0.981
H -0.310 -2.363 0.128
H -0.593 -2.123 1.857
H -2.665 -1.024 1.062
H -2.074 -1.280 -0.575
H -3.126 -2.431 0.097

The value obtained for the energy above the lowest of the compared OMol25 structures with the same formula, charge and spin is 20.2 kcal per mole. As for the SMILES: CCC.CC. The electronic energy comes out at -198.85694 Ha. The LUMO energy is 0.0407 Ha. The frontier orbital gap is 12.2 eV.

***

(2)
Entry from the OMol25 dataset: a 2-piece molecular cluster, C5H14 overall (ωB97M-V with the def2-TZVPD basis set).

Geometry (Å):
C 0.334 1.347 -1.318
C -0.465 0.470 -2.336
C -1.553 -0.340 -1.572
H 0.718 0.638 -0.606
H -0.394 2.101 -1.012
H 1.126 1.820 -1.898
H -0.825 0.995 -3.214
H 0.191 -0.203 -2.939
H -1.261 -1.356 -1.299
H -1.732 0.339 -0.734
H -2.482 -0.393 -2.136
C 0.664 -0.705 3.133
C 0.956 -0.690 1.670
H -0.406 -0.891 3.281
H 1.330 -1.302 3.763
H 0.678 0.271 3.623
H 0.944 -1.681 1.234
H 0.259 -0.115 1.055
H 1.920 -0.306 1.304

The value obtained for the energy above the lowest of the compared OMol25 structures with the same formula, charge and spin is 19.6 kcal per mole. As for the SMILES: CCC.CC. The electronic energy comes out at -198.85788 Ha. The LUMO energy is 0.0415 Ha. The frontier orbital gap is 12.3 eV.

***

(3)
Entry from the OMol25 dataset: a 2-piece molecular cluster, C5H14 overall (ωB97M-V with the def2-TZVPD basis set).

Geometry (Å):
C 0.660 -0.522 -1.888
C 0.768 0.847 -1.204
C 0.691 2.087 -2.027
H 1.289 -0.654 -2.731
H -0.407 -0.521 -2.331
H 0.885 -1.425 -1.266
H -0.070 0.853 -0.409
H 1.683 0.825 -0.522
H 1.678 2.202 -2.575
H -0.173 2.144 -2.820
H 0.404 2.999 -1.601
C -1.294 -1.643 2.050
C -0.583 -0.532 2.796
H -1.480 -2.559 2.786
H -2.341 -1.178 1.629
H -0.773 -1.946 1.219
H -1.210 -0.103 3.445
H 0.000 0.141 2.079
H 0.273 -1.017 3.371

The value obtained for the energy above the lowest of the compared OMol25 structures with the same formula, charge and spin is 35.7 kcal per mole. As for the SMILES: CCC.CC. The electronic energy comes out at -198.83226 Ha. The LUMO energy is 0.0398 Ha. The frontier orbital gap is 12.0 eV.
____________
**Solution**
(1)
Entry from the OMol25 dataset: a 2-piece molecular cluster, C5H14 overall (ωB97M-V with the def2-TZVPD basis set).

Geometry (Å):
C 2.049 1.651 -1.380
C 0.608 1.555 -0.759
C 0.724 1.385 0.714
H 2.165 0.979 -2.218
H 2.950 1.363 -0.806
H 2.167 2.718 -1.606
H 0.171 2.571 -0.942
H 0.046 0.856 -1.358
H 1.312 2.214 1.135
H -0.241 1.356 1.291
H 1.348 0.557 1.081
C -1.018 -2.576 0.924
C -2.276 -1.779 0.373
H -1.239 -3.630 0.981
H -0.310 -2.363 0.128
H -0.593 -2.123 1.857
H -2.665 -1.024 1.062
H -2.074 -1.280 -0.575
H -3.126 -2.431 0.097

The value obtained for the energy above the lowest of the compared OMol25 structures with the same formula, charge and spin is 20.2 kcal per mole. As for the SMILES: CCC.CC. The electronic energy comes out at -198.85694 Ha. The LUMO energy is 0.0407 Ha. The frontier orbital gap is 12.2 eV.

***

(2)
Entry from the OMol25 dataset: a 2-piece molecular cluster, C5H14 overall (ωB97M-V with the def2-TZVPD basis set).

Geometry (Å):
C 0.334 1.347 -1.318
C -0.465 0.470 -2.336
C -1.553 -0.340 -1.572
H 0.718 0.638 -0.606
H -0.394 2.101 -1.012
H 1.126 1.820 -1.898
H -0.825 0.995 -3.214
H 0.191 -0.203 -2.939
H -1.261 -1.356 -1.299
H -1.732 0.339 -0.734
H -2.482 -0.393 -2.136
C 0.664 -0.705 3.133
C 0.956 -0.690 1.670
H -0.406 -0.891 3.281
H 1.330 -1.302 3.763
H 0.678 0.271 3.623
H 0.944 -1.681 1.234
H 0.259 -0.115 1.055
H 1.920 -0.306 1.304

The value obtained for the energy above the lowest of the compared OMol25 structures with the same formula, charge and spin is 19.6 kcal per mole. As for the SMILES: CCC.CC. The electronic energy comes out at -198.85788 Ha. The LUMO energy is 0.0415 Ha. The frontier orbital gap is 12.3 eV.

***

(3)
Entry from the OMol25 dataset: a 2-piece molecular cluster, C5H14 overall (ωB97M-V with the def2-TZVPD basis set).

Geometry (Å):
C 0.660 -0.522 -1.888
C 0.768 0.847 -1.204
C 0.691 2.087 -2.027
H 1.289 -0.654 -2.731
H -0.407 -0.521 -2.331
H 0.885 -1.425 -1.266
H -0.070 0.853 -0.409
H 1.683 0.825 -0.522
H 1.678 2.202 -2.575
H -0.173 2.144 -2.820
H 0.404 2.999 -1.601
C -1.294 -1.643 2.050
C -0.583 -0.532 2.796
H -1.480 -2.559 2.786
H -2.341 -1.178 1.629
H -0.773 -1.946 1.219
H -1.210 -0.103 3.445
H 0.000 0.141 2.079
H 0.273 -1.017 3.371

The value obtained for the energy above the lowest of the compared OMol25 structures with the same formula, charge and spin is 35.7 kcal per mole. As for the SMILES: CCC.CC. The electronic energy comes out at -198.83226 Ha. The LUMO energy is 0.0398 Ha. The frontier orbital gap is 12.0 eV.